Entries >
1.
Compound: RbLaTl2Rh
Source: Alexandria
Functional: PBE
Structure: relaxed

```
RbLaTl2Rh
1.0
-3.241 -4.098 1.976
-0.995 -1.729 -5.217
4.153 -3.161 0.256
Tl Rh Rb La
2 1 1 1
Direct
0.000 0.500 0.000 Tl
0.500 0.000 0.000 Tl
0.000 0.000 0.000 Rh
0.500 0.500 0.500 Rb
0.000 0.000 0.500 La
```

* E: -19.14 eV/f.u.
* calculated volume: 163 Å³/cell
* magnetic moment: 0.000 μB per atom
* ρ: 7.496 g/cm³

2.
Compound: EuBeGa2
Source: Alexandria
Functional: PBE
Structure: relaxed

```
EuBeGa2
1.0
-2.359 2.922 -1.534
-3.995 -0.601 -0.365
-2.896 2.834 4.489
Eu Be Ga
1 1 2
Direct
0.500 0.500 0.500 Eu
0.000 0.000 0.000 Be
0.290 0.290 0.131 Ga
0.710 0.710 0.869 Ga
```

* E: -21.11 eV/f.u.
* calculated volume: 79 Å³/cell
* magnetic moment: 1.736 μB per atom
* ρ: 6.279 g/cm³

3.
Compound: TaMn2In
Source: Alexandria
Functional: PBE
Structure: relaxed

```
TaMn2In
1.0
-5.240 4.461 -1.832
-0.017 -2.723 -6.580
-4.525 -1.033 -3.414
In Mn Ta
2 4 2
Direct
0.500 0.500 0.000 In
0.250 0.750 0.500 In
0.647 0.125 0.250 Mn
0.103 0.625 0.250 Mn
0.375 0.353 0.750 Mn
0.875 0.897 0.750 Mn
0.000 0.000 0.000 Ta
0.750 0.250 0.500 Ta
```

* E: -30.15 eV/f.u.
* calculated volume: 142 Å³/cell
* magnetic moment: 1.126 μB per atom
* ρ: 9.486 g/cm³

4.
Compound: Pr4NiIrCl2
Source: Alexandria
Functional: PBE
Structure: relaxed

```
Pr4NiIrCl2
1.0
4.129 0.000 0.000
0.000 7.131 0.110
0.000 -2.515 7.532
Pr Ni Ir Cl
4 1 1 2
Direct
0.500 0.238 0.204 Pr
0.500 0.762 0.796 Pr
0.000 0.268 0.798 Pr
0.000 0.732 0.202 Pr
0.500 0.500 0.000 Ni
0.000 0.000 0.000 Ir
0.500 0.000 0.500 Cl
0.000 0.500 0.500 Cl
```

* E: -45.82 eV/f.u.
* calculated volume: 223 Å³/cell
* magnetic moment: 0.000 μB per atom
* raw formation energy: -1.046 eV per atom
* ρ: 6.595 g/cm³

5.
Compound: NaPr3Dy2Se6
Source: Alexandria
Functional: PBE
Structure: relaxed

```
NaPr3Dy2Se6
1.0
4.170 0.000 0.000
0.000 8.415 0.282
-2.085 -2.445 8.831
Na Pr Dy Se
1 3 2 6
Direct
0.500 0.000 0.000 Na
0.500 0.500 0.000 Pr
0.840 0.176 0.679 Pr
0.160 0.824 0.321 Pr
0.835 0.662 0.670 Dy
0.165 0.338 0.330 Dy
0.332 0.906 0.664 Se
0.671 0.575 0.341 Se
0.668 0.094 0.336 Se
0.006 0.245 0.012 Se
0.994 0.755 0.988 Se
0.329 0.425 0.659 Se
```

* E: -67.01 eV/f.u.
* calculated volume: 313 Å³/cell
* magnetic moment: 0.000 μB per atom
* raw formation energy: -1.770 eV per atom
* ρ: 6.606 g/cm³

6.
Compound: BaCuSb2Te
Source: Alexandria
Functional: PBE
Structure: relaxed

```
BaCuSb2Te
1.0
5.183 0.000 0.000
0.000 5.183 0.000
0.000 0.000 5.623
Sb Te Ba Cu
2 1 1 1
Direct
0.000 0.500 0.000 Sb
0.500 0.000 0.000 Sb
0.000 0.000 0.500 Te
0.500 0.500 0.500 Ba
0.000 0.000 0.000 Cu
```

* E: -19.00 eV/f.u.
* calculated volume: 151 Å³/cell
* magnetic moment: 0.000 μB per atom
* energy relative to the lowest polymorph listed for this composition: 0.00 eV per formula unit
* raw formation energy: -0.319 eV per atom
* ρ: 6.289 g/cm³

7.
Compound: Li8Ga2Pd
Source: Alexandria
Functional: PBE
Structure: relaxed

```
Li8Ga2Pd
1.0
4.615 0.406 0.338
0.542 6.967 0.097
0.542 1.370 6.832
Li Ga Pd
8 2 1
Direct
0.811 0.171 0.653 Li
0.189 0.347 0.829 Li
0.897 0.236 0.236 Li
0.103 0.764 0.764 Li
0.811 0.653 0.171 Li
0.189 0.829 0.347 Li
0.317 0.388 0.388 Li
0.683 0.612 0.612 Li
0.464 0.122 0.122 Ga
0.536 0.878 0.878 Ga
0.000 0.000 0.000 Pd
```

* E: -27.84 eV/f.u.
* calculated volume: 217 Å³/cell
* magnetic moment: 0.000 μB per atom
* ρ: 2.311 g/cm³

8.
Compound: SrMgF
Source: Alexandria
Functional: PBE
Structure: relaxed

```
SrMgF
1.0
-3.381 1.854 1.176
-0.120 -3.842 -1.197
1.920 -3.496 11.031
Mg F Sr
2 2 2
Direct
0.390 0.781 0.000 Mg
0.721 0.442 0.500 Mg
0.722 0.444 0.321 F
0.722 0.444 0.679 F
0.056 0.111 0.756 Sr
0.056 0.111 0.244 Sr
```

* E: -10.21 eV/f.u.
* calculated volume: 165 Å³/cell
* magnetic moment: 0.074 μB per atom
* raw formation energy: -1.687 eV per atom
* ρ: 2.639 g/cm³

* * * * *

*one*
ZrTl2Sb GGA-PBEsol relaxed; space group = No. 44; spin magnetization = 0.00 μB/f.u.
1.0
-2.115 2.388 4.709
2.115 -2.388 4.709
2.115 2.388 -4.709
Zr Tl Sb
1 2 1

Brief >
Your job: give back the lines further above from the one with "6.279 g/cm³" to the one with "6.289 g/cm³" exactly.

Solution >
* ρ: 6.279 g/cm³

3.
Compound: TaMn2In
Source: Alexandria
Functional: PBE
Structure: relaxed

```
TaMn2In
1.0
-5.240 4.461 -1.832
-0.017 -2.723 -6.580
-4.525 -1.033 -3.414
In Mn Ta
2 4 2
Direct
0.500 0.500 0.000 In
0.250 0.750 0.500 In
0.647 0.125 0.250 Mn
0.103 0.625 0.250 Mn
0.375 0.353 0.750 Mn
0.875 0.897 0.750 Mn
0.000 0.000 0.000 Ta
0.750 0.250 0.500 Ta
```

* E: -30.15 eV/f.u.
* calculated volume: 142 Å³/cell
* magnetic moment: 1.126 μB per atom
* ρ: 9.486 g/cm³

4.
Compound: Pr4NiIrCl2
Source: Alexandria
Functional: PBE
Structure: relaxed

```
Pr4NiIrCl2
1.0
4.129 0.000 0.000
0.000 7.131 0.110
0.000 -2.515 7.532
Pr Ni Ir Cl
4 1 1 2
Direct
0.500 0.238 0.204 Pr
0.500 0.762 0.796 Pr
0.000 0.268 0.798 Pr
0.000 0.732 0.202 Pr
0.500 0.500 0.000 Ni
0.000 0.000 0.000 Ir
0.500 0.000 0.500 Cl
0.000 0.500 0.500 Cl
```

* E: -45.82 eV/f.u.
* calculated volume: 223 Å³/cell
* magnetic moment: 0.000 μB per atom
* raw formation energy: -1.046 eV per atom
* ρ: 6.595 g/cm³

5.
Compound: NaPr3Dy2Se6
Source: Alexandria
Functional: PBE
Structure: relaxed

```
NaPr3Dy2Se6
1.0
4.170 0.000 0.000
0.000 8.415 0.282
-2.085 -2.445 8.831
Na Pr Dy Se
1 3 2 6
Direct
0.500 0.000 0.000 Na
0.500 0.500 0.000 Pr
0.840 0.176 0.679 Pr
0.160 0.824 0.321 Pr
0.835 0.662 0.670 Dy
0.165 0.338 0.330 Dy
0.332 0.906 0.664 Se
0.671 0.575 0.341 Se
0.668 0.094 0.336 Se
0.006 0.245 0.012 Se
0.994 0.755 0.988 Se
0.329 0.425 0.659 Se
```

* E: -67.01 eV/f.u.
* calculated volume: 313 Å³/cell
* magnetic moment: 0.000 μB per atom
* raw formation energy: -1.770 eV per atom
* ρ: 6.606 g/cm³

6.
Compound: BaCuSb2Te
Source: Alexandria
Functional: PBE
Structure: relaxed

```
BaCuSb2Te
1.0
5.183 0.000 0.000
0.000 5.183 0.000
0.000 0.000 5.623
Sb Te Ba Cu
2 1 1 1
Direct
0.000 0.500 0.000 Sb
0.500 0.000 0.000 Sb
0.000 0.000 0.500 Te
0.500 0.500 0.500 Ba
0.000 0.000 0.000 Cu
```

* E: -19.00 eV/f.u.
* calculated volume: 151 Å³/cell
* magnetic moment: 0.000 μB per atom
* energy relative to the lowest polymorph listed for this composition: 0.00 eV per formula unit
* raw formation energy: -0.319 eV per atom
* ρ: 6.289 g/cm³